Geriatric Pregnancy Facts

The world is changing. Women are advancing in their careers, dating sites have changed the way we meet people, and couples are waiting longer than ever to start a family. None of which is a bad thing! Life happens at different paces for everyone and that doesn’t mean you should avoid getting pregnant once you hit 35 in fear of having a geriatric pregnancy.

Don’t let this scientific term scare you—more women are waiting until they’re older to have babies than ever before. In fact, the CDC published a report finding that today, there are more women in their thirties having babies than women in their twenties.

Before you jump in and start trying, there are a few things you’ll want to educate yourself on. After reading this article on the truth behind geriatric pregnancies, schedule an appointment and talk to your doctor about your plans.

What is a Geriatric Pregnancy?

The term geriatric pregnancy is a fancy medical term used for any woman who gets pregnant after they turn 35. It was created years ago and carries a stigma that elicits fear in many women. For that reason, many doctors today have abandoned the term and replaced it with the descriptor of being an “advanced maternal age.”

Technically speaking, a geriatric pregnancy is considered a “higher risk” pregnancy, but that’s only because overall pregnancy-related complications are higher than for women in their late 20s and early 30s. “High risk” doesn’t directly translate into “your risk is high.” In reality, your risk is still relatively low, especially if you maintain a healthy lifestyle and work closely with your doctor.

Not surprisingly, as more information becomes available, geriatric pregnancies are changing and more women are waiting to start their families.

The Real Risks with Geriatric Pregnancies

The risks that are associated with geriatric pregnancy are because of your number of eggs. As a woman, we’re born with all of the eggs we’ll have for the course of our entire life. The eggs we have left after 35 haven’t been used, so they have a higher chance of having developed some sort of abnormality. Simply put, as we age, the risk of abnormalities in our eggs grows.

In conjunction with abnormal eggs, here are a few of the published risks of having a geriatric pregnancy:


One of the risks that accompany a geriatric pregnancy is the increased possibility of a miscarriage. Since your eggs are more likely to have chromosomal abnormalities, the older you get, the more likely you are to miscarry.

At 25, your chances of having a miscarriage are around 15%, at 35 it rises to 25%, and at 40 it climbs to about 35-40%.

With all pregnancies, regardless of age, your risk of miscarriage continue to decrease after you’ve passed 12 weeks.

## Next to the article, the page also holds data records
+++
Record 1
VASP calculation (r2SCAN) on a relaxed DyHoHg2 crystal.

Calculated values
- E_form (eV/f.u.) = -2.324
- spin magnetization (μB/atom) = 0.000
- symmetry = Fm-3m (225)

Cell: 5.209 5.209 5.209 Å, 60.00 60.00 60.00°
Element x y z (fractional)
Dy 0.000 0.000 0.000
Ho 0.500 0.500 0.500
Hg 0.250 0.250 0.250
Hg 0.750 0.750 0.750


Record 2
VASP calculation (r2SCAN) on a relaxed LiDyHg2 crystal.

Calculated values
- E_form (eV/f.u.) = -2.040
- spin magnetization (μB/atom) = 0.000
- symmetry = Fm-3m (225)

Cell: 4.977 4.977 4.977 Å, 60.00 60.00 60.00°
Element x y z (fractional)
Li 0.000 0.000 0.000
Dy 0.500 0.500 0.500
Hg 0.250 0.250 0.250
Hg 0.750 0.750 0.750


Record 3
+++
## The article goes on


Preeclampsia is a pregnancy-specific condition that is characterized by high blood pressure and excessive amounts of protein in your urine—a sign that certain organs like the kidneys and liver aren’t working properly. It’s a serious condition that should not be ignored.

As you age, the risk increased about 1.5-2 fold from a baseline 3-4% risk. This is still relatively low, but you should always watch for symptoms and seek help immediately if they present themselves.

Gestational Diabetes

This is one of the most common and troublesome parts of geriatric pregnancies. The risk of gestational diabetes increases a good amount as you age. Women under 35 having about a 3% chance of developing it, women who are 35-39 have a 5.3% chance, and women over 40 have roughly an 8% chance of developing gestational diabetes.

To combat this, make sure you’re heating a healthy diet and getting enough physical activity. Always talk to your doctor if you already have diabetes and are trying to get pregnant, regardless of your age.


Like miscarriages, one of the most devastating things that occur during pregnancy is a stillbirth. Luckily, stillbirth rates do not rise substantially with geriatric pregnancies. The biggest concern is when women go past their due date, but as long as you’re working with your doctor to induce labor if needed, the chances are very small.

Women giving birth in their late 30s have a stillbirth risk of just over 1% and women in their 40s have a risk of about 1-2%.

Unrelated to this text: calculated crystals
┌──
one) # Sm2Mo2O7 | the Materials Project database | PBE with a Hubbard U | optimized geometry
# Theoretical density   6.96 Mg/m³
# Calculated volume   144 Å³/f.u.
# Space group   Fd-3m (227)
data_Sm2Mo2O7
_space_group_name_H-M_alt 'P 1'
_space_group_IT_number 1
_space_group_name_Hall 'P 1'
_cell_length_a 7.416
_cell_length_b 7.416
_cell_length_c 7.416
_cell_angle_alpha 60.00
_cell_angle_beta 60.00
_cell_angle_gamma 60.00
loop_
_atom_site_label
_atom_site_fract_x
_atom_site_fract_y
_atom_site_fract_z
Sm1 0.625 0.125 0.125
Sm2 0.125 0.625 0.125
Sm3 0.125 0.125 0.625
Sm4 0.125 0.125 0.125
Mo1 0.125 0.625 0.625
Mo2 0.625 0.125 0.625
Mo3 0.625 0.625 0.125
Mo4 0.625 0.625 0.625
O1 0.741 0.741 0.259
O2 0.259 0.259 0.741
O3 0.741 0.259 0.741
O4 0.259 0.741 0.259
O5 0.259 0.741 0.741
O6 0.741 0.259 0.259
O7 0.509 0.509 0.991
O8 0.991 0.991 0.509
O9 0.509 0.991 0.509
O10 0.991 0.509 0.991
O11 0.991 0.509 0.509
O12 0.509 0.991 0.991
O13 0.500 0.500 0.500
O14 0.750 0.750 0.750

two) # Sm2Mo2O7 | the Materials Project database | PBE with a Hubbard U | optimized geometry
# Theoretical density   6.85 Mg/m³
# Calculated volume   146 Å³/f.u.
# Space group   Fd-3m (227)
data_Sm2Mo2O7
_space_group_name_H-M_alt 'P 1'
_space_group_IT_number 1
_space_group_name_Hall 'P 1'
_cell_length_a 7.455
_cell_length_b 7.455
_cell_length_c 7.455
_cell_angle_alpha 60.00
_cell_angle_beta 60.00
_cell_angle_gamma 60.00
loop_
_atom_site_label
_atom_site_fract_x
_atom_site_fract_y
_atom_site_fract_z
Sm1 0.125 0.125 0.625
Sm2 0.125 0.125 0.125
Sm3 0.625 0.125 0.125
Sm4 0.125 0.625 0.125
Mo1 0.625 0.625 0.625
Mo2 0.125 0.625 0.625
Mo3 0.625 0.125 0.625
Mo4 0.625 0.625 0.125
O1 0.290 0.290 0.710
O2 0.290 0.710 0.290
O3 0.960 0.540 0.960
O4 0.710 0.290 0.290
O5 0.000 0.000 0.000
O6 0.540 0.540 0.960
O7 0.290 0.710 0.710
O8 0.540 0.960 0.540
O9 0.540 0.960 0.960
O10 0.710 0.710 0.290
O11 0.250 0.250 0.250
O12 0.960 0.960 0.540
O13 0.960 0.540 0.540
O14 0.710 0.290 0.710

Relative to the most stable one, in meV per atom, the structures come out at one) 363; two) 0.

one) # V2MoO8 | the Materials Project database | PBE with a Hubbard U | optimized geometry
# Theoretical density   3.53 Mg/m³
# Calculated volume   153 Å³/f.u.
# Space group   Cm (8)
data_V2MoO8
_space_group_name_H-M_alt 'P 1'
_space_group_IT_number 1
_space_group_name_Hall 'P 1'
_cell_length_a 9.720
_cell_length_b 9.720
_cell_length_c 4.313
_cell_angle_alpha 89.75
_cell_angle_beta 89.75
_cell_angle_gamma 22.08
loop_
_atom_site_label
_atom_site_fract_x
_atom_site_fract_y
_atom_site_fract_z
V1 0.836 0.836 0.895
V2 0.216 0.216 0.104
Mo1 0.027 0.027 0.897
O1 0.317 0.317 0.991
O2 0.734 0.734 0.009
O3 0.838 0.838 0.519
O4 0.214 0.214 0.479
O5 0.928 0.928 0.994
O6 0.125 0.125 0.995
O7 0.027 0.027 0.498
O8 0.526 0.526 0.983

two) # V2MoO8 | the Materials Project database | PBE with a Hubbard U | optimized geometry
# Theoretical density   3.47 Mg/m³
# Calculated volume   156 Å³/f.u.
# Space group   Cmm2 (35)
└──

Other Risks

Other risks of having an advanced maternal age during pregnancy include:

  • Fertility Problems
  • Premature Birth
  • Low Birth Weight
  • Chromosomal Defects
  • Emergency C-Section
  • High Blood Pressure

To reduce the chances of these risks, we highly recommend working with your doctor to determine which, if any, prescreening tests you should take. Today, there are a number of tests available to help you prepare for a healthy pregnancy and ensure you’re giving your baby a healthy environment for development. It’s possible to test for birth defects using screening tests, chorionic villus sampling, and amniocentesis if you’d like.

Benefits of a Geriatric Pregnancy

While there are some scary risks, remember that with a healthy lifestyle, regular checkups, and pregnancy prescreening, you don’t have too much to worry about. As long as you work with your doctor and listen to their medical advice, things should go smoothly. While the risks seem overwhelming, don’t forget that geriatric pregnancies come with a number of benefits.

For starters, becoming a mom after the age of 35 means that you’ve had some time to mature, develop patience, and gain a better idea of what you want in life. Most people at 35 have a stable job, stronger education, and more overall resources to care for their children. These characteristics of a parent are projected onto your child and lead to more positive long-term outcomes in their lives3, which is exactly what all parents want for their kids.

Women over the age of 35 who are trying to conceive are also more committed to being healthy for their baby. They prioritize their health because they’ve been given this stigma of being too old for a healthy pregnancy. Plus, women of an advanced maternal age have had the time to create healthy habits and find it easier to extend those to pregnancy.

Finally, in a weird turn of events, an ongoing study – The New England Centenarian Study – is finding that women who give birth at an advanced maternal age were more likely to live longer than those who gave birth when they were younger.

┌──
## Sr2MgSi2O7 (PBE)

Data for crystalline Sr2MgSi2O7 at its relaxed geometry.

Properties
* space group: P2_1/c (14)
* energy of formation: -3376 meV/atom

The structure in CIF format:
```
data_Sr2MgSi2O7
_chemical_formula_sum 'Sr8 Mg4 Si8 O28'
_cell_length_a 9.494
_cell_length_b 7.970
_cell_length_c 10.415
_cell_angle_alpha 90.00
_cell_angle_beta 122.39
_cell_angle_gamma 90.00
_space_group_name_H-M_alt 'P 1'
_space_group_IT_number 1
loop_
_space_group_symop_operation_xyz
'x,y,z'
loop_
_atom_site_label
_atom_site_type_symbol
_atom_site_fract_x
_atom_site_fract_y
_atom_site_fract_z
_atom_site_occupancy
Sr1 Sr 0.072 0.233 0.024 1
Sr2 Sr 0.072 0.267 0.524 1
Sr3 Sr 0.425 0.551 0.701 1
Sr4 Sr 0.425 0.949 0.201 1
Sr5 Sr 0.575 0.051 0.799 1
Sr6 Sr 0.575 0.449 0.299 1
Sr7 Sr 0.928 0.733 0.476 1
Sr8 Sr 0.928 0.767 0.976 1
Mg1 Mg 0.218 0.609 0.884 1
Mg2 Mg 0.218 0.891 0.384 1
Mg3 Mg 0.782 0.109 0.616 1
Mg4 Mg 0.782 0.391 0.116 1
Si1 Si 0.158 0.540 0.292 1
Si2 Si 0.158 0.960 0.792 1
Si3 Si 0.384 0.226 0.419 1
Si4 Si 0.384 0.274 0.919 1
Si5 Si 0.616 0.726 0.081 1
Si6 Si 0.616 0.774 0.581 1
Si7 Si 0.842 0.040 0.208 1
Si8 Si 0.842 0.460 0.708 1
O1 O 0.004 0.549 0.857 1
O2 O 0.004 0.951 0.357 1
O3 O 0.143 0.554 0.440 1
O4 O 0.143 0.946 0.940 1
O5 O 0.187 0.721 0.235 1
O6 O 0.187 0.779 0.735 1
O7 O 0.252 0.092 0.291 1
O8 O 0.252 0.408 0.791 1
O9 O 0.327 0.081 0.837 1
O10 O 0.327 0.419 0.337 1
O11 O 0.374 0.229 0.571 1
O12 O 0.374 0.271 0.071 1
O13 O 0.436 0.686 0.061 1
O14 O 0.436 0.814 0.561 1
O15 O 0.564 0.186 0.439 1
O16 O 0.564 0.314 0.939 1
O17 O 0.626 0.729 0.929 1
O18 O 0.626 0.771 0.429 1
O19 O 0.673 0.581 0.663 1
O20 O 0.673 0.919 0.163 1
O21 O 0.748 0.592 0.209 1
O22 O 0.748 0.908 0.709 1
O23 O 0.813 0.221 0.265 1
O24 O 0.813 0.279 0.765 1
O25 O 0.857 0.054 0.060 1
O26 O 0.857 0.446 0.560 1
O27 O 0.996 0.049 0.643 1
O28 O 0.996 0.451 0.143 1
```

## Mg6Si5 (PBE)

Data for crystalline Mg6Si5 at its relaxed geometry.

Properties
* excess energy over the best structure of this formula in the dataset: 2.029 kcal/mol of atoms
* space group: P1 (1)
* energy of formation: 121 meV/atom

The structure in CIF format:
```
data_Mg6Si5
_chemical_formula_sum 'Mg12 Si10'
_cell_length_a 5.534
_cell_length_b 6.534
_cell_length_c 12.269
_cell_angle_alpha 80.33
_cell_angle_beta 79.55
_cell_angle_gamma 89.50
_space_group_name_H-M_alt 'P 1'
_space_group_IT_number 1
loop_
_space_group_symop_operation_xyz
'x,y,z'
loop_
_atom_site_label
_atom_site_type_symbol
_atom_site_fract_x
_atom_site_fract_y
_atom_site_fract_z
_atom_site_occupancy
Mg1 Mg 0.000 0.000 0.000 1
Mg2 Mg 0.011 0.970 0.445 1
Mg3 Mg 0.052 0.394 0.792 1
Mg4 Mg 0.119 0.770 0.231 1
Mg5 Mg 0.163 0.903 0.744 1
Mg6 Mg 0.265 0.515 0.003 1
Mg7 Mg 0.362 0.626 0.555 1
Mg8 Mg 0.381 0.385 0.327 1
Mg9 Mg 0.541 0.163 0.851 1
Mg10 Mg 0.570 0.899 0.322 1
Mg11 Mg 0.829 0.456 0.433 1
Mg12 Mg 0.950 0.250 0.214 1
Si1 Si 0.060 0.247 0.596 1
Si2 Si 0.447 0.104 0.513 1
Si3 Si 0.450 0.166 0.130 1
Si4 Si 0.481 0.859 0.043 1
└──
== The article goes on ==

Some people have speculated that this is because having a child helps keep you young and carefree, so when it happens later in life, the benefits are carried into old age.

Tips for a Healthy Geriatric Pregnancy

Unsurprisingly, tips for a healthy geriatric pregnancy are the same as tips for a healthy pregnancy in people under the age of 35. As long as you take care of your mind, body, and soul, you’ll give your baby the best conditions for healthy development.

  • Get a preconception checkup
  • Exercise regularly
  • Maintain a healthy diet
  • Take your prenatal vitamins regularly
  • Ensure that you’re getting at least 400 micrograms of folic acid per day
  • Get to a healthy weight and maintain a healthy weight during pregnancy
  • Never smoke, drink, or use any substances
  • Talk to your doctor about any prescriptions
  • Practice good mental health
  • Maintain a healthy stress level
  • Get treatment for preexisting health conditions
  • Don’t skip prenatal care checkups


If you’re over the age of 35 and are trying to conceive, talk to your doctor today. Your age has such a minor role in the health of your pregnancy, but it’s still important to know your risks and take measures on improving them. If you have any questions about geriatric pregnancies or any of the risks involved, get in contact with your doctor or OBGYN. When planning for your pregnancy, don’t forget that thanks to the Affordable Care Act, expectant mothers are eligible to receive an electric breast pump covered by their insurance provider! Visit Byram Healthcare today to browse all of the available selections and find other great pregnancy tips, info, and product reviews.

If you have any stories about your pregnancy after 35 and want to share them with other moms-to-be, visit our Facebook page today and leave a comment! We love hearing from our readers!